
  • Currently enrolled SLP PhD students at any stage of their doctoral education. Eligible students should apply only for one scholarship each year.

  • Past recipients are eligible for scholarships other than the one(s) they previously received.

  • For the Tomblin scholarship, only students specializing in child language are eligible.


Use the Apply Now button at the bottom of the page to fill out the application form and upload your cover letter and biographical sketch.

Records of crystals that have nothing to do with the entry:
=====
Record 1
LiMg3W3O12: optimized geometry, PBE with a Hubbard U.

## Properties
total magnetic moment = 4.00 Bohr magnetons per cell
energy of formation = -2419 meV per atom

Structure (POSCAR):
```
LiMg3W3O12
1.0
5.238 0.000 0.000
0.000 10.723 0.000
0.000 0.000 17.329
Li Mg W O
4 12 12 48
Direct
0.277 0.250 0.695
0.723 0.750 0.305
0.223 0.750 0.195
0.777 0.250 0.805
0.102 0.250 0.251
0.898 0.750 0.749
0.398 0.750 0.751
0.602 0.250 0.249
0.242 0.070 0.528
0.758 0.930 0.472
0.258 0.930 0.028
0.758 0.570 0.472
0.742 0.070 0.972
0.242 0.430 0.528
0.742 0.430 0.972
0.258 0.570 0.028
0.283 0.250 0.055
0.717 0.750 0.945
0.217 0.750 0.555
0.783 0.250 0.445
0.278 0.536 0.331
0.722 0.464 0.669
0.222 0.464 0.831
0.722 0.036 0.669
0.778 0.536 0.169
0.278 0.964 0.331
0.778 0.964 0.169
0.222 0.036 0.831
0.355 0.123 0.293
0.645 0.877 0.707
0.145 0.877 0.793
0.645 0.623 0.707
0.855 0.123 0.207
0.355 0.377 0.293
0.855 0.377 0.207
0.145 0.623 0.793
0.016 0.613 0.275
0.984 0.387 0.725
0.484 0.387 0.775
0.984 0.113 0.725
0.516 0.613 0.225
0.016 0.887 0.275
0.516 0.887 0.225
0.484 0.113 0.775
0.069 0.250 0.507
0.931 0.750 0.493
0.431 0.750 0.007
0.569 0.250 0.993
0.085 0.115 0.034
0.915 0.885 0.966
0.415 0.885 0.534
0.915 0.615 0.966
0.585 0.115 0.466
0.085 0.385 0.034
0.585 0.385 0.466
0.415 0.615 0.534
0.353 0.250 0.157
0.647 0.750 0.843
0.147 0.750 0.657
0.853 0.250 0.343
0.084 0.006 0.422
0.916 0.994 0.578
0.416 0.994 0.922
0.916 0.506 0.578
0.584 0.006 0.078
0.084 0.494 0.422
0.584 0.494 0.078
0.416 0.506 0.922
0.046 0.616 0.121
0.954 0.384 0.879
0.454 0.384 0.621
0.954 0.116 0.879
0.546 0.616 0.379
0.046 0.884 0.121
0.546 0.884 0.379
0.454 0.116 0.621
```


Record 2
NbV3O8: optimized geometry, PBE with a Hubbard U.

## Properties
excess energy over the best structure of this formula in the dataset = 6.57 kJ/mol of atoms
total magnetic moment = 8.00 Bohr magnetons per cell
energy of formation = -2568 meV per atom

Structure (POSCAR):
```
NbV3O8
1.0
1.829 -5.014 -2.659
-8.746 -3.408 0.490
-0.118 -0.483 -6.041
Nb V O
2 6 16
Direct
0.308 0.499 0.356
0.700 0.998 0.635
0.798 0.720 0.859
0.207 0.216 0.136
0.817 0.705 0.351
0.677 0.212 0.159
0.327 0.719 0.838
0.184 0.215 0.645
0.649 0.600 0.176
0.836 0.097 0.820
0.471 0.337 0.036
0.517 0.836 0.968
0.335 0.106 0.334
0.632 0.607 0.705
0.025 0.302 0.972
0.001 0.803 0.001
0.159 0.597 0.182
0.356 0.100 0.818
0.482 0.339 0.464
0.947 0.833 0.537
0.049 0.334 0.473
0.513 0.838 0.541
0.859 0.101 0.323
0.152 0.603 0.670
```


Record 3
Li3Mn4P8O28: optimized geometry, PBE with a Hubbard U.

## Properties
excess energy over the best structure of this formula in the dataset = 0.00 kJ/mol of atoms
total magnetic moment = 31.88 Bohr magnetons per cell
energy of formation = -2450 meV per atom

Structure (POSCAR):
```
Li3Mn4P8O28
1.0
9.709 0.000 0.000
-0.103 9.760 0.000
-2.103 -0.280 11.081
Li Mn P O
6 8 16 56
Direct
0.912 0.104 0.982
0.583 0.589 0.024
0.408 0.034 0.504
0.092 0.894 0.018
0.155 0.580 0.531
0.101 0.288 0.450
=====
The records of crystals stop here:

  • Cover Letter (limit 1 page)

    • Provide a cover letter addressed to the "Scholarship Review Committee." Explain briefly why you are pursuing a PhD in your area of study, your long- and short-term goals, and how the scholarship of interest will support your career development and research plans. As appropriate, include information about your educational and research activities to date. Indicate how the UI CSD department will help support your efforts.

    • The cover letter should be 11-point font with ½-inch margins and single line spacing.

  • NIH Biographical Sketch (limit 1 page)

    • Provide an NIH-style biographical sketch (non-fellowship). The form for a non-fellowship biosketch is available on the NIH website (https://grants.nih.gov/grants/forms/biosketch). Adapt the form as appropriate for your investigator profile.
    • Follow the formatting guidelines here: https://grants.nih.gov/grants. Per NIH format instructions, the biosketch can be 11-point font with ½-inch margins and single line spacing.
    • In the biosketch, include the following sections: Education/Training, Personal Statement, Positions and Honors, and Contributions to Science. Scholastic performance should not be included.

      A. Personal statement justifies why you are well-suited to the scholarship award you are applying for in terms of your training, experience, and planned future research. At the end of section A, you can include research support for which you serve as PI, co-PI, or co-Investigator. Any grant that provided you with financial support but for which you served a role other than PI, co-PI, or co-Investigator should be included in Section B.

      B. Positions, Scientific Appointments, and Honors lists in reverse chronological order all domestic and foreign academic, professional, or institutional appointments. For achievements and honors, you should include scholarships, traineeships, fellowships, and awards (e.g., development, travel, academic) that provided you with financial support but for which you served a role other than PI, co-PI, or co-Investigator (e.g. Research Assistant, Predoctoral Fellow on an Institutional Training Grant), as applicable. You can also include information on any clinical licensures and specialty board certifications achieved.

      C. Contributions to Science explains ONE past, current, and potential contribution to science with any publications, presentations, or research projects in support of the area you specify. For the contribution, indicate the following: (i) the background that frames the scientific problem; (ii) the central finding(s); (iii) the influence or impact of the finding(s) on the progress of science or the application of those finding(s); and (iv) your specific role in the described work.  Figures, tables, or graphics are not allowed.

      • This sample biosketch is representative of a post-comps SLP PhD student applying for a fellowship research grant (F-series): PC_F31_Biosketch_Example.pdf

Evaluation Criteria

A review panel comprised of emeritus faculty will evaluate the applications based on these criteria:

  • Personal Statement: The statement effectively conveys the applicant’s research interest(s), training/skillset, and their short- and long-term goals.
  • Positions and Scientific Appointments: The applicant demonstrates active involvement in regional, national, or international professional contexts. 
  • Honors and Awards: The applicant has been recognized for their academic, clinical, or scientific contributions through scholarships, fellowships, or awards either as key personnel (PI, co-PI, or co-I) or as a significant contributor (Research Assistant or Predoctoral Fellow).
  • Contributions to Science: The applicant’s scientific contribution has the potential to advance the discipline of communication sciences and disorders and to impact theoretical and/or clinical needs relevant to speech-language pathology. 

Scholarship Announcement

Funding decisions will be made by the SLP tenure-track faculty based on scores received from the review panel. Applicants will be notified of the results by July and scholarships will be awarded in August.

The application process for 2024 open.